Saving data when navigating - iphone

how can i save the data in from texfield when i navigate back to previous view?
i have set the app to save all data to plist when terminate but i when i am navigating up and down view, i need to save the data to some place. any suggestion? save data when "back" button at nav bar is press? but how? save to NSUserDefaults?

Have you tried to use session variables? You can store all the fields in session vars and everytime a user visits that page, it will first check to see if the session vars are set. If so, render the form with those input fields pre-populated with the session var values. If not, then render a blank form.

You may consider storing the contents of the text field to an NSString * instance variable of your application delegate. The best place to do so would be viewDidUnload method, provided that you did retain the text field.

If you are using NSuserDefaults i used this to save my tableview data when the back button was pressed. list is my NSMutableArray that holds my data
[NSKeyedArchiver archiveRootObject:self.list toFile:[self dataFilePath]];

What comes next are data records, not part of the piece:
~~~
{"formula": "C17H56O17", "method": "ωB97M-V with the def2-TZVPD basis set", "e_homo_ev": [-11.6, -11.6], "multiplicity": 2, "charge": 1, "largest_force_ev_per_a": 2.912, "symbols": ["C", "C", "O", "O", "H", "H", "H", "H", "H", "H", "C", "C", "O", "O", "H", "H", "H", "H", "H", "H", "C", "C", "O", "O", "H", "H", "H", "H", "H", "H", "C", "C", "O", "O", "H", "H", "H", "H", "H", "H", "C", "C", "O", "O", "H", "H", "H", "H", "H", "H", "C", "C", "O", "O", "H", "H", "H", "H", "H", "H", "C", "O", "H", "H", "H", "H", "C", "O", "H", "H", "H", "H", "C", "O", "H", "H", "H", "H", "C", "O", "H", "H", "H", "H", "C", "O", "H", "H", "H", "H"], "coordinates": [[-0.8117, -4.7729, -2.1067], [0.2958, -3.7612, -1.6456], [1.5400, -4.2899, -1.8651], [-0.6822, -5.8676, -1.2742], [-0.5765, -5.0782, -3.1263], [-1.8219, -4.3634, -2.1028], [0.1512, -3.5432, -0.5875], [0.3393, -2.8555, -2.2505], [2.1521, -3.5608, -1.7413], [-1.4462, -6.4415, -1.3669], [3.4842, -0.2544, -5.2528], [2.8329, -0.4162, -3.9011], [1.5842, -1.0013, -4.0788], [2.8986, 0.7479, -6.0819], [3.5374, -1.1979, -5.7959], [4.4840, 0.0476, -4.9409], [2.8564, 0.4728, -3.2709], [3.4343, -1.1673, -3.3888], [1.8008, -1.7881, -4.5844], [2.1286, 0.4226, -6.5541], [-4.0669, 2.8418, -1.8356], [-3.7255, 1.5806, -0.9921], [-2.4032, 1.1744, -1.0260], [-4.1223, 2.6072, -3.2136], [-3.3541, 3.5863, -1.4808], [-5.0857, 3.1783, -1.6431], [-4.3406, 0.7491, -1.3362], [-4.0189, 1.7054, 0.0503], [-2.2063, 1.0828, -1.9612], [-4.7289, 1.8768, -3.3560], [1.3915, 3.3940, 4.3232], [0.5515, 2.8358, 3.1867], [1.4101, 2.0948, 2.3177], [1.3782, 2.4539, 5.4067], [0.8809, 4.3031, 4.6409], [2.4263, 3.6320, 4.0769], [0.2110, 3.6809, 2.5883], [-0.3334, 2.2612, 3.4606], [0.9928, 1.8160, 1.4993], [1.8665, 1.6910, 5.0885], [-0.6117, -2.5332, 3.6186], [0.3518, -1.3646, 3.8955], [1.3143, -1.7034, 4.8688], [-1.7218, -2.5195, 4.5164], [-0.0612, -3.4710, 3.6945], [-0.7869, -2.5142, 2.5430], [-0.0984, -0.4577, 4.2994], [0.6906, -1.0338, 2.9137], [0.8157, -1.9417, 5.6538], [-1.9135, -3.4207, 4.7860], [-3.4366, -0.7083, 1.9270], [-3.3054, 0.3283, 3.0476], [-3.8184, 1.5675, 2.7023], [-4.7812, -0.8218, 1.4403], [-3.2309, -1.7052, 2.3167], [-2.6891, -0.5057, 1.1600], [-2.2681, 0.5000, 3.3351], [-3.9051, -0.0354, 3.8819], [-4.6880, 1.5025, 2.3009], [-4.8786, -1.6829, 1.0273], [4.9299, 0.7718, -1.2556], [4.2451, 0.2767, -0.0978], [5.3385, -0.0373, -1.8610], [4.3044, 1.4001, -1.8898], [5.8339, 1.2298, -0.8544], [4.4665, 0.7786, 0.6900], [3.2854, -2.9195, 0.5552], [3.2387, -2.3366, -0.7261], [2.9399, -3.9533, 0.5582], [4.2453, -2.7263, 1.0342], [2.6217, -2.4810, 1.3004], [3.3325, -1.3921, -0.5817], [-2.1227, 4.0141, 1.2024], [-2.4942, 3.9499, 2.5462], [-1.6723, 3.0369, 1.0283], [-3.0138, 4.2040, 0.6041], [-1.4315, 4.8463, 1.0683], [-3.0383, 3.1610, 2.6024], [0.2172, 2.1718, -3.8283], [-0.1289, 0.8827, -3.5166], [1.0358, 2.5173, -3.1970], [0.4830, 2.1344, -4.8848], [-0.7357, 2.6885, -3.7140], [0.5777, 0.2464, -3.6492], [0.6122, -0.1292, -0.2573], [-0.3539, 0.4611, 0.5938], [1.4283, -0.4993, 0.3633], [0.1187, -1.0191, -0.6479], [0.9205, 0.5679, -1.0365], [-1.0651, 0.7983, 0.0442]], "lowdin_spin": [0.000, 0.000, 0.000, 0.000, 0.000, 0.000, 0.000, 0.000, 0.000, 0.000, 0.000, 0.000, 0.000, 0.000, 0.000, 0.000, 0.000, 0.000, 0.000, 0.000, 0.000, 0.000, 0.000, 0.000, 0.000, 0.000, 0.000, 0.000, 0.000, 0.000, 0.007, 0.111, 0.385, 0.138, 0.001, 0.004, 0.058, 0.029, 0.005, 0.002, 0.000, 0.000, 0.000, 0.000, 0.000, 0.000, 0.000, 0.000, 0.000, 0.000, 0.000, 0.000, -0.001, 0.000, 0.000, 0.000, 0.000, 0.000, 0.000, 0.000, 0.000, 0.000, 0.000, 0.000, 0.000, 0.000, 0.000, 0.000, 0.000, 0.000, 0.000, 0.000, 0.044, 0.177, 0.017, 0.018, 0.000, 0.001, 0.000, 0.000, 0.000, 0.000, 0.000, 0.000, 0.000, 0.002, 0.000, 0.000, 0.000, 0.000]}
~~~
Back to the piece:


swift update textview after typing new text

I'm making an app in swift 3
I have a TableViewController, when I click on a row it opens a ViewController in which there is a TextView. When I click on it, I am able to edit it, but the changes are not "saved". when I go back to my list and re-click on the same row, the text is back to "Default", I've been on this problem all day, and I don't know how to solve it, I've tried solution from stackoverflow but only give solution to change the text colours.
So how can I do that ?
Based on what you've said so far, I can only assume that you are not storing the new text that's been entered into your UITextView.
The reason that the changes are not being saved is that every time you "open" a new ViewController by tapping on a TableViewCell, it is a brand new instance of that ViewController. That means that it has no input as far as what should be displayed in the TextView, and therefore displays the default text.
But how do I fix it?
This is going to require that you save your TextView's text every time that you leave or dismiss the ViewController. This is because when you leave the ViewController, it is being released from memory. This means that anything that was written there no longer exists. I would suggest storing the text in an array of strings on your TableViewController, which should allow for the text to persist over the life cycle of the app.
The text disappears when I close the app!
This is something that will require data persistence, and for that I would suggest reading up on how to use Core Data to store and persist data across multiple app life cycles.
There are many ways to achieve that, the idea is to set the text of the text view in its view controller's initialization.
So, you need a place to save the data entered by the user, and then read that data again in the view controller's initialization.
One way to do that is using a singleton class to save the data, like this for example:
class SharedData {
static let instance = SharedData()
var textEnteredByUser: String?
Now, when the user enters text, save that text in the string we have in 'SharedData' like this:
SharedData.instance.textEnteredByUser = textView.text!
Now, we have the data entered by the user saved, we need to set the data in the text view before it appears in the screen, and this can be achieved inside viewDidLoad method of your view controller like this:
override func viewDidLoad() {
textView.text = SharedData.instance.textEnteredByUser
You can also save your data in user defaults instead of the singleton class like this:
UserDefaults.standard.set(textView.text!, forKey: "textEnteredByUser")
And then retrieve the saved text this way:
UserDefaults.standard.string(forKey: "textEnteredByUser")
Note: The singleton solution keeps the data shared between different view controllers, but does not persist data after closing the application, and this is what user default does.

The text is interrupted by quantum chemistry results =
<<<
Molecular formula: C15H23AlCaCl10FNO9
Method: DFT, ωB97M-V with the def2-TZVPD basis set

Values from the calculation:
- Lowest unoccupied orbital energy: -6.0078 eV
- Highest occupied orbital energy: -7.4860 eV
- Orbital gap: 1.48 eV
- F_max: 5.42 eV/Å

The geometry in XYZ format:
```
61
C15H23AlCaCl10FNO9 | the Open Molecules 2025 dataset | ωB97M-V with the def2-TZVPD basis set
C -1.99 3.66 -0.33
C -2.59 2.27 -0.34
O -3.79 2.15 -0.44
N -1.74 1.10 -0.18
C -2.01 0.13 -1.22
C -2.07 0.55 1.19
C -0.83 0.08 1.98
C 0.14 1.23 2.46
C 0.94 1.85 1.31
C 2.12 1.06 0.83
C 2.24 0.08 -0.06
Cl 0.99 -0.66 -0.97
C 3.68 -0.29 -0.19
O 4.14 -0.99 -1.03
O 4.40 0.38 0.78
C 3.54 1.33 1.30
O 3.84 2.26 1.96
H -1.13 3.78 -0.99
H -1.77 3.93 0.71
H -2.77 4.35 -0.66
H -2.28 -0.86 -0.84
H -2.86 0.45 -1.90
H -1.10 0.03 -1.88
H -2.54 1.36 1.74
H -2.83 -0.22 1.11
H -1.20 -0.41 2.89
H -0.29 -0.71 1.45
H -0.48 2.06 2.89
H 0.76 0.89 3.30
H 1.36 2.80 1.68
H 0.33 2.10 0.45
C 2.77 0.70 -4.36
O 2.61 1.09 -2.95
H 2.61 1.58 -4.98
H 3.78 0.32 -4.54
H 2.04 -0.07 -4.62
H 2.76 0.29 -2.42
Ca -1.97 1.06 -3.76
C -6.05 -0.24 1.48
Cl -6.02 -1.99 1.71
Cl -7.69 0.39 1.62
Cl -4.97 0.58 2.63
H -5.69 -0.03 0.48
Cl -4.08 2.51 4.51
Cl -0.72 -4.10 3.47
C -1.34 -4.98 2.05
C -1.41 -4.10 0.83
Cl -2.66 -2.84 0.99
H -2.32 -5.39 2.30
H -0.66 -5.81 1.87
H -1.66 -4.70 -0.05
H -0.45 -3.61 0.64
Cl -2.15 1.37 3.95
Al 4.69 1.81 -2.18
F 4.09 1.92 -6.26
O 7.42 -0.22 -1.64
Cl 7.65 -1.51 -2.29
O 6.72 -1.64 -3.39
O 7.42 -2.56 -1.33
O 9.00 -1.56 -2.77
Cl -7.95 -3.98 1.98
```

Molecular formula: C15H23CdF9NO3P2
Method: DFT, ωB97M-V with the def2-TZVPD basis set

Values from the calculation:
- Charge: +1
- Lowest unoccupied orbital energy: -2.8651 eV
- Highest occupied orbital energy: -12.5183 eV
- Orbital gap: 9.65 eV
- F_max: 1.47 eV/Å

The geometry in XYZ format:
```
54
C15H23CdF9NO3P2 | the Open Molecules 2025 dataset | ωB97M-V with the def2-TZVPD basis set
Cd 0.05 0.08 0.51
P -2.32 0.22 -0.38
C -2.27 0.96 -2.05
C -0.84 1.23 -2.56
N 0.24 1.08 -1.77
C 1.45 1.48 -2.18
C 1.62 2.16 -3.39
C 0.50 2.40 -4.18
C -0.73 1.91 -3.76
C 2.68 1.09 -1.38
P 2.42 -0.40 -0.33
H -1.66 2.03 -4.30
H 2.62 2.49 -3.67
H 0.56 2.99 -5.07
H 3.51 0.87 -2.07
H 3.02 1.90 -0.71
H -2.92 0.44 -2.76
H -2.74 1.95 -1.93
H -1.11 -3.30 -3.84
O -1.38 -2.79 -4.62
H -2.33 -2.63 -4.45
H -0.39 -4.78 -0.55
O -0.37 -4.03 -1.19
H 0.57 -3.90 -1.42
C 2.89 -1.81 -1.39
H 3.92 -1.72 -1.77
H 2.82 -2.75 -0.82
H 2.21 -1.90 -2.25
C 3.60 -0.38 1.05
H 3.59 -1.35 1.56
H 4.63 -0.17 0.71
H 3.31 0.38 1.78
C -3.02 1.74 0.42
H -4.06 1.87 0.10
H -2.90 1.63 1.52
H -2.44 2.60 0.05
C -3.62 -1.07 -0.22
H -3.71 -1.29 0.87
H -4.59 -0.72 -0.63
H -3.29 -1.98 -0.75
F -1.37 2.26 4.18
C -1.31 0.91 4.25
F -1.58 0.54 5.53
F -2.34 0.45 3.47
C 0.08 0.38 3.72
O 0.30 0.89 2.46
C 1.28 0.94 4.60
F 1.18 0.65 5.93
F 2.47 0.43 4.16
F 1.37 2.28 4.47
C 0.09 -1.18 3.77
F -0.01 -1.71 5.02
F -0.94 -1.70 3.04
F 1.23 -1.68 3.21
```

Molecular formula: C15H23ClIrN2O2PS2
>>>

Possible to go back to previous view using Nav Bar and not lose View's data?

I have an app that populates list views when a view is created. I would like to be able to navigate with a back button and go back to a previous screen and have the data that was listed still be there. Is this possible?
What seems to be happening with basic creation of a back button, is when I press it, the view starts up like it was brand new, expecting data input to populate the list. Is it possible to have the state of the previous screen saved? rather than it be wiped out and have to be re-populated when using a back button? I would rather not have to ping the server I get the data from every time a user presses the back button. Especially if the data has already been grabbed once already.
In other words, I'd like it to work like a web browser, where the state of the screen is saved and pressing back just loads what was there, rather than pinging the website again for all of its data.
Definitely possible. The best approach would be to store the data for the list in core data, then whenever your view appears you can check to see if you have data saved, and if not, go to the network and populate the data
You could also use NSUserDefaults to store the data, instead of Core Data. It depends on the data you plan to store.
Update 1
Here is an example to use NSUserDefaults
NSUserDefaults* defaults = [NSUserDefaults standardUserDefaults];
NSMutableArray* recentlyViewedPhotos = [[defaults objectForKey:#"recentlyViewedPhotos"] mutableCopy];
//Edit your object here
[defaults setObject:recentlyViewedPhotos forKey:#"recentlyViewedPhotos"];
[defaults synchronize];

Deleting rows UItableview iphone using userdefaults

I need your help, maybe its something silly but I can't find the error.
I have a table view and an add button, when its clicked I show a modal view with a little form, when save button is pressed I send the data to the TableView controller to show it, also I'm using NSUserDefaults to save this data in an array.
My problem comes when, for example, I add 2 new rows and delete 1 of them, then when I add another, it shows the last row I delete instead of showing the one I just add.
I'm doing the saving and reading this way:
in viewDidAppear I read the NSUserDefaults and get the data if exist.
in the method that catches the data from the ModalView I save to userdefaults.
in commitEditing method I read userdefaults and then delete the row from the array and from the table and then save this change in userdefaults.
I don't know what I doing wrong, Can anybody help me with this?
Use [self.tableView reloadData]; in the viewWillAppear of that class. You can also reference that class in another view controller, create an object for it and call [classObject.tableView reloadData];
Always remember to reload the tableView after an add operation or a delete operation.
Don’t use NSUserDefaults to act as the direct datasource of a table. Store it in an intermediate model. It’ll be a LOT easier to debug that way.
If you’re having trouble keeping your model synced with the user defaults, call [[NSUserDefaults standardUserDefaults] synchronize] whenever you alter them.
Also, make sure you’re not making some mistakes in your table cell reuse. You might be seeing old data if you have a customer UITableViewCell class and you’re not correctly implementing -prepareForReuse.

how to show the same view when the app is reopened

-- Records of molecules, kept here for reference --
Record 1
Computed, not measured: 3 unconnected molecules or ions with the total composition C16H38N3O7, with wB97M-V/def2-TZVPD.

Values from the calculation:
Electronic energy, Ha: -1322.973180
LUMO energy, eV: -3.87
Kohn-Sham gap, eV: 7.07
Net charge: +1

Each line ends with the natural charge from an NBO analysis.
CARTESIAN COORDINATES (ANGSTROEM)
1 N -4.23633 -0.57244 4.07627  -0.853
2 C -3.29348 -0.90639 3.09443  0.710
3 N -3.75884 -1.25892 1.89957  -0.763
4 N -2.01096 -0.82821 3.32589  -0.498
5 C -0.95760 -1.67439 2.72153  -0.263
6 C -0.66140 -2.83077 3.68240  0.025
7 C -1.59244 -3.98024 3.74643  -0.121
8 O -0.33663 -4.05641 3.05411  -0.446
9 H -4.16141 -1.18173 4.88885  0.403
10 H -4.07295 0.37168 4.41967  0.415
11 H -3.27142 -0.99545 1.05534  0.437
12 H -4.59180 -1.82312 1.83562  0.443
13 H -1.81488 -0.60331 4.29448  0.419
14 H -0.04642 -1.08707 2.61024  0.251
15 H -1.26549 -2.09131 1.76692  0.240
16 H -0.11127 -2.55782 4.58415  0.202
17 H -2.45131 -3.96385 3.07931  0.179
18 H -1.63850 -4.58641 4.64155  0.215
19 C 0.20680 2.53050 -4.51982  -0.249
20 O -0.17663 2.94594 -3.22419  -0.557
21 C -0.68387 4.26989 -3.18923  -0.093
22 C -1.76905 4.42712 -2.15191  -0.088
23 O -2.99734 3.80575 -2.49411  -0.533
24 C -3.12083 2.40940 -2.34000  -0.089
25 C -3.29661 1.95557 -0.90722  -0.090
26 O -2.07321 1.97855 -0.18286  -0.548
27 C -2.24563 2.17496 1.19470  -0.236
28 H 1.08935 3.07303 -4.87433  0.174
29 H 0.44767 1.46942 -4.46758  0.191
30 H -0.60646 2.67207 -5.23894  0.170
31 H -1.08403 4.54738 -4.17003  0.179
32 H 0.12767 4.96634 -2.94093  0.177
33 H -2.00245 5.49205 -2.09901  0.197
34 H -1.41606 4.11135 -1.16719  0.180
35 H -2.30229 1.86616 -2.81951  0.197
36 H -4.04864 2.15582 -2.85744  0.195
37 H -3.68831 0.92538 -0.92396  0.150
38 H -4.03770 2.59705 -0.41730  0.181
39 H -2.87897 3.04332 1.39993  0.185
40 H -1.26459 2.33865 1.63998  0.201
41 H -2.69894 1.28639 1.66134  0.113
42 C 1.11773 0.65992 -0.38415  -0.247
43 O 1.95067 -0.39073 0.04582  -0.551
44 C 1.45450 -1.67030 -0.27768  -0.083
45 C 2.56884 -2.63205 -0.62122  -0.088
46 O 3.15402 -2.39760 -1.88303  -0.536
47 C 4.07722 -1.32677 -2.00691  -0.088
48 C 5.42089 -1.57852 -1.36672  -0.095
49 O 5.35200 -1.45095 0.04194  -0.550
50 C 6.32835 -2.21399 0.71455  -0.248
51 H 0.17848 0.68646 0.17126  0.148
52 H 1.64988 1.59456 -0.22138  0.200
53 H 0.88052 0.57517 -1.44650  0.179
54 H 0.75335 -1.61916 -1.11999  0.174
55 H 0.92881 -2.07302 0.60306  0.140
56 H 2.11696 -3.62456 -0.69833  0.187
57 H 3.31224 -2.66041 0.17902  0.196
58 H 3.65320 -0.38590 -1.64709  0.188
59 H 4.24579 -1.23736 -3.08175  0.193
60 H 6.13324 -0.84465 -1.76777  0.176
61 H 5.77040 -2.58043 -1.64274  0.175
62 H 6.29740 -3.26426 0.40354  0.166
63 H 6.11046 -2.15442 1.77916  0.191
64 H 7.33831 -1.82696 0.53979  0.172

Atoms 1-6, force components in eV/Å:
0.11 -0.42 0.50
-0.37 0.02 -0.47
0.24 0.02 -0.05
0.38 -0.53 0.61
0.40 -0.33 0.45
-0.61 -0.17 -0.12

---

Record 2

I have a tableview which shows a webview on clicking some row in the table, which in turn picks up the data from an sqlite. if a user closes the app by pressing home key while viewing a description in webview and reopens it after sometimes, I should be making the user to see the same screen. how to show the same view again ? What is the efficient way ?
Well I think the easiest way is to store the state of the application in NSUserDefaults. There is a delegate method on UIApplication called:
- (void)applicationWillTerminate:(UIApplication *)application
This delegate method gets called when the user quits the app. This is the time where you can save the state of your application off to the NSUserDefaults. But be aware that you cannot do time intensive stuff there. If you do, you get killed by the OS.
In your case why not simply store the row the user picked in NSUserDefaults and then check in
-(void)applicationDidFinishLaunching:(UIApplication *)application
if there is a saved row and restore the screen approbiately.
The easiest way is to write a string to a file in your documents directory that holds your state information in some easily parsed format. For example "screen_name:database_id". Or build a JSON string and parse it with JSON.
Everytime you switch screens, rewrite the file. When you open next time, read the file, parse it, and show the appropriate screen in your app.

Disable persistence of a given NSManagedObject until user hits a button?

I have an NSManagedObject with attributes that a user can edit with a view. The view is populated with the values from the object, the user can edit the values, and the values are written back to the object. I want the user to explicitly tap a save or cancel button to commit or undo the changes.
The problem is that the view is in a UITabbarController where other things are going on. The user might perform operations in another tab where [NSManagedObjectContext save] or [NSManagedObjectContext undo] might get called. This would affect the NSManagedObject (from the first mentioned tab) before the user decides if they want to save or cancel it.
Is there a way around this? Can we temporarily disable persistence on an NSManagedObject until the user taps the button?
There is no way to disable persistence for a managed object. Instead I would recommend an approach like this:
Typically, when showing a view that edits a particular object, you update that view with the data from the object in the viewWillAppear: method and update the object with the changed data in a corresponding "save" action or viewWillDisappear:.